Next, find the line further down that holds "-0.67145 -2.88927", then copy that line and all lines after it there.

+++
C30H37BeBrF3NO3S2Si as an isolated structure, computed with wB97M-V/def2-TZVPD.

```
79
Properties=species:S:1:pos:R:3:forces:R:3:mulliken_charge:R:1
Br 1.82170 -2.92893 -1.70235 0.14 -0.24 0.20 -0.71
S 1.16454 0.58295 -0.39274 -0.01 0.17 0.08 0.28
S 4.39479 1.73713 -3.84832 -0.14 -0.04 -0.02 -0.30
Si 0.94571 -0.05497 1.53561 0.16 -0.18 -0.18 -2.42
F -7.84317 -2.71505 -2.61061 0.00 0.00 0.01 -0.30
F -8.02251 -0.56170 -2.49950 0.00 0.01 0.01 -0.27
F -7.81484 -1.52220 -4.41544 0.00 0.00 -0.01 -0.28
O -0.55351 -0.61080 1.95786 -0.05 0.11 0.11 0.40
O 1.97081 -1.24854 2.05640 -0.17 0.13 0.15 0.79
O 1.23632 1.21500 2.57804 0.00 -0.06 0.04 0.12
N 0.46893 2.01990 -3.44023 0.00 -0.01 -0.02 -0.10
C 1.36727 3.49617 3.13658 -0.01 0.00 -0.01 -1.87
C -2.61972 -1.70370 2.14099 0.02 0.00 0.01 -1.94
C 3.38172 -1.30594 2.18469 0.12 -0.11 -0.13 1.92
C -3.73868 -2.29089 -2.36347 0.01 0.01 0.01 -0.45
C -0.67145 -2.88927 1.12760 0.04 0.00 0.02 -0.95
C 1.75153 2.37620 -3.33327 -0.06 0.03 0.05 0.52
C -0.46914 2.94106 -3.28378 0.00 -0.03 -0.01 0.09
C -7.36510 -1.56663 -3.13323 0.00 0.00 -0.01 0.85
C -0.29252 1.96281 4.23710 0.00 -0.03 -0.03 -1.66
C 2.59683 -0.02099 -3.08365 -0.07 0.02 0.33 -0.73
C 3.79638 -0.61578 3.48448 -0.06 0.01 -0.02 -1.66
C 2.74739 1.30370 -3.40727 0.18 0.06 -0.14 1.11
C -3.09147 -1.15037 -2.87093 -0.01 -0.04 0.02 0.31
C 3.87209 -0.67498 -3.22311 0.00 -0.03 -0.13 -0.55
C -0.20914 4.28371 -3.05626 0.04 0.01 0.01 -0.71
C 1.12376 4.67191 -2.99269 -0.04 0.02 -0.01 -0.42
C 4.90324 0.11913 -3.61776 0.02 0.03 -0.03 -0.56
C -5.26706 -0.30773 -3.54930 -0.03 -0.02 0.00 -0.72
C -5.88620 -1.44538 -3.03503 0.02 -0.01 0.01 0.48
C -0.47461 -0.89274 -2.65151 0.00 -0.06 0.22 -4.18
C -1.10614 -1.89446 2.19591 -0.06 -0.01 -0.05 2.10
C -1.68622 -1.00638 -2.76997 0.01 0.02 -0.14 4.17
C -3.89798 -0.16323 -3.46860 0.00 0.02 -0.02 -0.74
C 2.11105 3.71858 -3.12781 0.02 -0.03 0.02 -0.79
C 4.08789 -0.66531 0.99307 -0.02 0.04 -0.01 -1.50
C -0.60601 2.66271 1.85400 0.03 -0.01 -0.01 -1.56
C 3.72106 -2.79327 2.24467 0.00 -0.01 -0.03 -1.84
C -5.11125 -2.43582 -2.44148 -0.03 0.01 -0.02 -0.58
C 0.42040 2.31657 2.93124 -0.02 0.01 0.02 1.93
C -0.67925 -2.36914 3.58562 0.04 -0.01 -0.04 -1.58
Be 1.22696 -0.79603 -2.13214 -0.08 0.21 -0.40 0.22
H 3.84979 0.39694 0.92437 0.03 0.01 0.01 0.28
H -1.17348 3.54573 2.16201 -0.02 0.00 -0.01 0.51
H -0.91639 1.08319 4.07039 -0.01 0.01 0.01 0.14
H 4.79603 -2.94044 2.38035 0.00 -0.01 0.00 0.44
H -1.01546 4.99382 -2.92409 -0.01 -0.01 -0.01 0.37
H -2.90191 -1.33072 1.15540 -0.01 -0.02 -0.01 0.38
H 1.38831 5.70900 -2.81739 0.00 0.00 0.01 0.39
H 5.93535 -0.15152 -3.78708 -0.01 -0.04 0.00 0.43
H 3.31097 -1.09896 4.33632 0.00 0.00 0.00 0.33
H -2.93311 -0.97303 2.89071 0.00 0.00 0.01 0.33
H 0.40960 -2.39977 3.63520 -0.01 -0.02 0.00 0.04
H 4.88059 -0.67293 3.61365 0.00 0.00 0.02 0.43
H -5.86996 0.46385 -4.01435 0.02 0.02 0.00 0.34
H -1.49199 2.57791 -3.34409 -0.01 0.00 0.02 0.17
H 3.76224 -1.12725 0.06005 -0.01 -0.03 0.02 0.14
+++

C -0.67145 -2.88927 1.12760 0.04 0.00 0.02 -0.95
C 1.75153 2.37620 -3.33327 -0.06 0.03 0.05 0.52
C -0.46914 2.94106 -3.28378 0.00 -0.03 -0.01 0.09
C -7.36510 -1.56663 -3.13323 0.00 0.00 -0.01 0.85
C -0.29252 1.96281 4.23710 0.00 -0.03 -0.03 -1.66
C 2.59683 -0.02099 -3.08365 -0.07 0.02 0.33 -0.73
C 3.79638 -0.61578 3.48448 -0.06 0.01 -0.02 -1.66
C 2.74739 1.30370 -3.40727 0.18 0.06 -0.14 1.11
C -3.09147 -1.15037 -2.87093 -0.01 -0.04 0.02 0.31
C 3.87209 -0.67498 -3.22311 0.00 -0.03 -0.13 -0.55
C -0.20914 4.28371 -3.05626 0.04 0.01 0.01 -0.71
C 1.12376 4.67191 -2.99269 -0.04 0.02 -0.01 -0.42
C 4.90324 0.11913 -3.61776 0.02 0.03 -0.03 -0.56
C -5.26706 -0.30773 -3.54930 -0.03 -0.02 0.00 -0.72
C -5.88620 -1.44538 -3.03503 0.02 -0.01 0.01 0.48
C -0.47461 -0.89274 -2.65151 0.00 -0.06 0.22 -4.18
C -1.10614 -1.89446 2.19591 -0.06 -0.01 -0.05 2.10
C -1.68622 -1.00638 -2.76997 0.01 0.02 -0.14 4.17
C -3.89798 -0.16323 -3.46860 0.00 0.02 -0.02 -0.74
C 2.11105 3.71858 -3.12781 0.02 -0.03 0.02 -0.79
C 4.08789 -0.66531 0.99307 -0.02 0.04 -0.01 -1.50
C -0.60601 2.66271 1.85400 0.03 -0.01 -0.01 -1.56
C 3.72106 -2.79327 2.24467 0.00 -0.01 -0.03 -1.84
C -5.11125 -2.43582 -2.44148 -0.03 0.01 -0.02 -0.58
C 0.42040 2.31657 2.93124 -0.02 0.01 0.02 1.93
C -0.67925 -2.36914 3.58562 0.04 -0.01 -0.04 -1.58
Be 1.22696 -0.79603 -2.13214 -0.08 0.21 -0.40 0.22
H 3.84979 0.39694 0.92437 0.03 0.01 0.01 0.28
H -1.17348 3.54573 2.16201 -0.02 0.00 -0.01 0.51
H -0.91639 1.08319 4.07039 -0.01 0.01 0.01 0.14
H 4.79603 -2.94044 2.38035 0.00 -0.01 0.00 0.44
H -1.01546 4.99382 -2.92409 -0.01 -0.01 -0.01 0.37
H -2.90191 -1.33072 1.15540 -0.01 -0.02 -0.01 0.38
H 1.38831 5.70900 -2.81739 0.00 0.00 0.01 0.39
H 5.93535 -0.15152 -3.78708 -0.01 -0.04 0.00 0.43
H 3.31097 -1.09896 4.33632 0.00 0.00 0.00 0.33
H -2.93311 -0.97303 2.89071 0.00 0.00 0.01 0.33
H 0.40960 -2.39977 3.63520 -0.01 -0.02 0.00 0.04
H 4.88059 -0.67293 3.61365 0.00 0.00 0.02 0.43
H -5.86996 0.46385 -4.01435 0.02 0.02 0.00 0.34
H -1.49199 2.57791 -3.34409 -0.01 0.00 0.02 0.17
H 3.76224 -1.12725 0.06005 -0.01 -0.03 0.02 0.14